The reader should transcribe the entries below from the first line to the one with "55.19, 35" without additions.
........
Starting from a PBE+U-relaxed structure, the powder diffraction line list of Sr2MnTlO6 was computed for a wavelength of 1.5418 Å.

Structure:
Cell: 5.6548 5.6548 4.5487 Å, 90.00 90.00 90.00°
Fractional coordinates of all 10 atoms:
Sr  0.0000  0.5000  0.0000
Sr  0.5000  0.0000  0.0000
Mn  0.0000  0.0000  0.5402
Tl  0.5000  0.5000  0.5457
O  0.0000  0.0000  0.1571
O  0.2268  0.2268  0.6420
O  0.2268  0.7732  0.6420
O  0.5000  0.5000  0.0686
O  0.7732  0.2268  0.6420
O  0.7732  0.7732  0.6420

Top 10 peaks for 2θ = 5–70°, in order of falling intensity:
2θ (°), Rel. int.
29.75, 100
31.65, 43
55.19, 35
45.36, 26
51.57, 24
15.67, 23
25.13, 16
61.78, 15
39.63, 14
40.83, 12
........
Starting from a PBE+U-relaxed structure, the powder diffraction line list of Sr2MnTlO6 was computed for a wavelength of 1.5418 Å.

Structure:
Cell: 5.6548 5.6548 4.5487 Å, 90.00 90.00 90.00°
Fractional coordinates of all 10 atoms:
Sr  0.0000  0.5000  0.0000
Sr  0.5000  0.0000  0.0000
Mn  0.0000  0.0000  0.5402
Tl  0.5000  0.5000  0.5457
O  0.0000  0.0000  0.1571
O  0.2268  0.2268  0.6420
O  0.2268  0.7732  0.6420
O  0.5000  0.5000  0.0686
O  0.7732  0.2268  0.6420
O  0.7732  0.7732  0.6420

Top 10 peaks for 2θ = 5–70°, in order of falling intensity:
2θ (°), Rel. int.
29.75, 100
31.65, 43
55.19, 35